How to Become a Teacher in Texas without a Degree

Not having a bachelor’s degree in education should not deter you from pursuing your passion of becoming a teacher. If transitioning to teaching has been on your mind ever since you were in high school, then there are ways you can become a teacher now. Yes, even if you have majored in fields other than education, but it could take a while. Read below to know how you can transition to teaching without a degree.
Jobs That Don’t Require Certified Teachers
Not-For-Profit School Jobs
While it is true that you have to be certified to be able to teach at a high-school or an elementary school as a subject teacher, some private, or charter schools don’t ask for state licensure or a teaching degree.
Attached: calculated molecules:
<<<
The following is a quantum chemistry calculation of a molecular structure, C4HCuO2 in a non-equilibrium geometry, from the OMol25 dataset.

Geometry as XYZ:
```
8
C4HCuO2 (ωB97M-V/def2-TZVPD)
O -2.299 0.753 0.582
C 1.221 -0.157 0.711
C 0.077 0.077 0.277
C -1.240 0.327 -0.209
C -1.435 0.379 -1.518
O -1.591 0.364 -2.686
Cu -2.080 0.627 -4.613
H -2.737 1.490 0.138
```

Properties
- total charge = 0
- Kohn-Sham gap (spin up / spin down) (Ha) = 0.1194 / 0.1196
- energy relative to the best compared isomer or geometry (same formula, charge and spin) (kcal per mole) = 0.9
- HOMO energy (spin up / spin down) (eV) = -6.8 / -6.8
- energy (Ha) = -1943.66405

----------

169
Properties=species:S:1:pos:R:3:forces:R:3 method="wB97M-V/def2-TZVPD" charge=0 e_homo_ev=-10.27 total_energy_ev=-165186.7384 de_lowest_kcal_mol=0.00 lumo_ev=0.08
C -4.881 1.882 5.152 0.009 -1.066 1.018
C -5.377 2.004 3.761 -1.141 -0.827 -0.273
O -5.891 3.312 3.666 -0.070 0.888 2.521
C -6.231 3.901 2.574 0.725 1.194 0.472
O -6.068 3.392 1.517 -0.358 -0.291 -2.610
O -6.598 5.183 2.846 0.154 -1.873 -0.227
C -6.523 6.051 1.702 0.805 -0.633 0.390
H -3.983 2.483 5.321 0.004 -0.265 -0.032
H -4.712 0.795 5.336 0.277 0.824 0.089
H -5.644 2.208 5.867 0.076 -0.032 -0.153
H -6.211 1.308 3.568 0.320 0.067 0.049
H -4.585 1.764 3.067 0.198 0.466 -0.587
H -6.541 6.994 2.283 0.397 -0.003 -1.445
H -7.403 5.893 1.090 -0.192 0.297 -0.165
H -5.607 5.727 1.092 -1.145 1.239 0.930
C -5.587 -0.546 0.699 2.056 -1.274 -1.843
C -6.487 -1.722 0.865 -1.327 -0.158 -0.792
O -6.091 -2.610 1.906 0.489 -0.930 -1.231
C -6.380 -2.391 3.175 0.305 1.574 -0.318
O -6.945 -1.443 3.645 -0.746 0.565 -0.167
O -5.805 -3.322 3.867 0.616 -1.626 0.258
C -5.904 -3.205 5.285 -0.189 0.893 -0.607
H -5.235 -0.033 1.563 -0.348 0.288 0.938
H -6.004 0.143 -0.026 -0.120 0.215 0.051
H -4.666 -0.984 0.217 -0.466 0.778 0.348
H -6.543 -2.308 -0.128 0.209 0.629 1.803
H -7.480 -1.363 1.077 -0.598 -0.079 0.178
H -5.252 -2.382 5.588 -0.288 -0.088 0.294
H -5.531 -4.138 5.610 0.289 -0.868 0.764
H -6.950 -3.047 5.541 0.180 0.064 0.330
C 2.671 3.943 -0.477 -1.804 0.181 0.635
C 1.692 3.147 0.411 0.959 0.864 0.303
O 2.247 3.187 1.813 -0.800 -0.384 -2.009
C 1.814 2.201 2.562 0.169 -1.231 0.661
O 1.139 1.226 2.273 0.072 1.139 -0.198
O 2.320 2.398 3.776 -0.603 -0.018 0.723
C 1.794 1.558 4.819 0.240 -1.037 -0.288
H 2.181 4.303 -1.371 -0.632 0.204 -0.154
H 3.381 3.285 -0.866 1.740 -0.884 -0.156
H 3.080 4.820 0.014 0.190 -0.163 0.208
H 1.527 2.130 0.062 0.387 -0.011 0.316
H 0.713 3.584 0.493 -0.391 0.397 -0.028
H 2.511 0.729 4.991 -0.499 0.433 -0.111
H 0.779 1.150 4.619 0.789 0.394 -0.186
H 1.752 2.171 5.692 0.028 0.403 0.589
C 1.697 -1.036 0.162 -1.521 0.404 1.785
C 0.883 -0.485 -0.957 -1.165 -0.193 1.309
O -0.493 -0.461 -0.457 0.691 -0.169 0.058
C -1.125 0.682 -0.494 1.945 1.008 -0.462
O -0.683 1.727 -0.972 -1.202 -0.902 0.388
O -2.240 0.506 0.172 -1.521 0.373 -0.200
C -3.102 1.642 0.196 -0.609 0.441 0.618
H 1.116 -1.867 0.617 0.460 0.383 -0.235
>>>
Substitute Teacher Jobs
Substitute teaching gigs are an excellent way to real classroom experience, especially for recent graduates of any stream without teaching certification. You can also apply for a preschool teacher or teaching assistant job even with an associate’s degree.
Emergency Teacher Jobs
You will need to receive an emergency teaching certificate. It is a temporary license awarded to teach in certain areas. Some of these areas include foreign languages, STEM subjects and special education.
Texas and other states grant this certification, where qualified candidates are in shortage. Bachelor’s degree holders in the related field have to pass the licensing exam to get the emergency teacher status.
Alternative Programs
If you have a master’s degree, just not in education or teaching, you can become a teacher in a public and private college or a university. If you don’t, you can enroll yourself in a master’s program in education or teaching. Otherwise, there are Alternative Certification Programs (ACPs) that can help you in becoming a teacher in Texas.
An ACP is a teaching certification designed for graduates of an unrelated field. You can become teachers in K-12 public schools and teach the subject in which you majored. After completing the program, you can apply with the Texas Department of Education.
How to get a teaching certification through alternative routes
Requirements for Non-Traditional Teaching Programs in Texas
You must hold a graduate degree from a university or college that has a Texas Higher Education Coordinating Board accreditation. A post-graduate certificate can be finished in one year, and you can even opt for a master’s degree in any specific subject or education. Even in these alternative programs, you have to test in the same exam pattern as the traditional teacher prep program.
Types of Alternative Teaching Programs (ACPs) in Texas
The TEA (Texas Education Agency) designs the ACP’s and set the guidelines, which means the general standards, pre-service training, and grading are the same as traditional programs.
Typically, these short and intensive alternative programs allow you to get your teaching license faster than the traditional routes of the education program. TFA (Teach for America) and TNTP (The New Teacher Project) are two popular non-profit programs that allow you to be a teacher in underserved communities without a degree. These programs can be classroom-based or online format, and you may be eligible to get financial aid from the US government. The Teacher Builder is a similar program that assists you in getting a full teaching degree.
Probationary Certificate
To complete the teaching assignment in an ACP program in Texas, you will be granted a Probationary Certificate, with a validity of one year. To receive this, you should apply online and submit a recommendation for the certificate program which you are completing. The procedure is the same for career and technical alternative certification programs.
Transferring Teaching Certificates from another State
If your issue is that you do not have a teaching certificate from Texas, but hold one from another state, there is a possibility that you can transfer it here. Texas recognizes specific out-of-state teaching licenses, provided you pass the assessments designed by Texas certified educators and meet the general requirements.
Teaching is indeed an incredibly rewarding career that gives you a sense of accomplishment. If you have been trying to find an effective way to get a teaching degree without a bachelor’s in Texas, choose a suitable method from the above. Start making your first move towards pursuing your teaching credential.